Vivencias, Stories and Life
A bilingual podcast with stories inspired by love and sensibility. Conversations with wonderful persons, their passions, struggles, achievements, and the essence of life.
Historias inspiradas en el amor y la sensibilidad. Conversaciones con personas maravillosas, su pasión, desafíos, logros y la esencia en su vida.
Vivencias, Stories and Life
Florence and... LIFE
Newly married and wanted to wait to have a baby, Florence and her husband had a change of heart soon after. After trying for almost a year with no success, they returned with us for guidance on how to achieve pregnancy naturally.
We celebrate with them! They have received the gift of LIFE!
Records of crystals that have nothing to do with the page >
+++
Density functional theory data (PBE+U) for crystalline NiPtO2 at its relaxed geometry.

Unit cell a=6.6349 b=6.6349 c=6.0298 alpha=111.78 beta=111.78 gamma=25.12
Last column: nearest neighbours and their distance in Å.
Positions (direct):
Ni1 0.0000 0.0000 0.0000  5 O 1.91-2.05
Ni2 0.6810 0.6810 0.5071  4 O 1.95-2.02
Pt1 0.2739 0.2739 0.1042  3 O 2.02-2.04
Pt2 0.4636 0.4636 0.4792  2 O 1.88-2.00
O1 0.1581 0.1581 0.2574  3 Ni 2.02-2.05, 1 Pt 2.04
O2 0.2240 0.2240 0.7416  2 Ni 1.95, 1 Pt 2.03
O3 0.4342 0.4342 0.1281  2 Ni 1.98, 2 Pt 2.00-2.02
O4 0.5233 0.5233 0.8161  1 Pt 1.88, 2 Ni 1.91

Computed properties:
ρ, g cm⁻³: 9.11
Total magnetic moment, μB per formula unit: 1.39
DOS at the Fermi energy, states/eV/f.u.: 1.17
+++
Thanks for listening to our life stories! 💕 ¡Gracias por escucharnos!
Florence and the gift of life
I am so happy to be here again with you all because we have a very beautiful lady that is here with us today! Her name is Florence. I met her with her fiancee before they got married. They wanted to know how to plan a family according to the teachings of the Church; they contacted me and they started learning Natural Family Planning. Florence how are you?
Im doing good thank you.
It is just so nice to have you here today and you look so beautiful. You have this beautiful glow because now you are expecting. There is a beautiful baby growing in your womb. I am so happy about that!
Yes, we are too!
I would like for you to tell us a little bit about when you started learning about your fertility and your husbands’, what was the reason why you wanted to start doing this?
At the very start we actually approach you because we wanted to learn how not to get pregnant yet after getting married; since we thought, -we are not financially ready, we were not ready to be parents yet, to enjoy being married just us two. But later on, we kind of realized after seeing our sponsor couple saying, you know, be open to creating life. We kind of realized, we don’t really need to avoid it because getting married, it is about creating life too. That is why we approach you again for the second time to get help because we had been trying for a while. I thing it had been almost a year and I could not get pregnant. And I was thinking, there is something wrong with me or my husband. I contacted you and asked your help again.
Yes, you came and you learned. It takes a couple of months, a couple of cycles. You wanted to do the things according of the teachings of the Church (catholic) . You did not wanted to use any contraceptives.
Yes, because a lot of my friends they got married and they are in different contraceptives. I already knew from the Church that is against our teachings using those things because our women body’s design, I don’t think is ok to be taking all of this, you know, taking all those pills or putting all of those, I don’t know how you call it, IUDs or things like that.
_Between two parts of the article: materials data_
~~~
Entry from Alexandria: an optimized crystal structure of AcEuYIn (PBE-GGA).

Geometry as POSCAR:
```
AcEuYIn
1.0
8.1243 0.0000 0.0000
0.0000 8.1243 0.0000
0.0000 0.0000 8.1243
Ac Eu Y In
4 4 4 4
direct
0.0000 0.0000 0.0000
0.0000 0.5000 0.5000
0.5000 0.0000 0.5000
0.5000 0.5000 0.0000
0.2500 0.2500 0.7500
0.2500 0.7500 0.2500
0.7500 0.2500 0.2500
0.7500 0.7500 0.7500
0.0000 0.0000 0.5000
0.0000 0.5000 0.0000
0.5000 0.0000 0.0000
0.5000 0.5000 0.5000
0.2500 0.2500 0.2500
0.2500 0.7500 0.7500
0.7500 0.2500 0.7500
0.7500 0.7500 0.2500
```

Properties
- Total magnetization: 30.8 Bohr magnetons per cell
- ΔE_f: -0.12 eV/atom
- Symmetry: No. 216
- Energy: -96.21 eV per cell



Entry from Alexandria: an optimized crystal structure of AcEuIr4 (PBE-GGA).

Geometry as POSCAR:
```
AcEuIr4
1.0
0.0000 3.8900 3.8900
3.8900 0.0000 3.8900
3.8900 3.8900 0.0000
Ac Eu Ir
1 1 4
direct
0.0000 0.0000 0.0000
0.2500 0.2500 0.2500
0.1261 0.6246 0.6246
0.6246 0.1261 0.6246
0.6246 0.6246 0.1261
0.6246 0.6246 0.6246
```

Properties
- Total magnetization: 6.4 Bohr magnetons per cell
- ΔE_f: -0.52 eV/atom
- Symmetry: No. 216
- Energy: -52.93 eV per cell



Entry from Alexandria: an optimized crystal structure of Ac4Eu2Ir (PBE-GGA).

Geometry as POSCAR:
```
Ac4Eu2Ir
1.0
5.8514 0.0000 0.0000
0.0000 5.8514 0.0000
0.0000 0.0000 19.3446
Ac Eu Ir
8 4 2
direct
0.0000 0.0000 0.1529
0.0000 0.0000 0.8471
0.0000 0.5000 0.0000
0.0000 0.5000 0.5000
0.5000 0.0000 0.0000
0.5000 0.0000 0.5000
0.5000 0.5000 0.3471
0.5000 0.5000 0.6529
0.0000 0.0000 0.3513
0.0000 0.0000 0.6487
0.5000 0.5000 0.1487
0.5000 0.5000 0.8513
0.0000 0.0000 0.0000
0.5000 0.5000 0.5000
```

Properties
- Total magnetization: 30.8 Bohr magnetons per cell
- ΔE_f: -0.04 eV/atom
- Symmetry: No. 139
- Energy: -92.20 eV per cell



Entry from Alexandria: an optimized crystal structure of AcEuIr (PBE-GGA).

Geometry as POSCAR:
```
AcEuIr
1.0
3.6987 0.0000 0.0000
0.0000 3.6987 0.0000
0.0000 0.0000 13.8729
Ac Eu Ir
2 2 2
direct
0.0000 0.0000 0.0000
0.5000 0.5000 0.5000
0.0000 0.0000 0.7545
0.5000 0.5000 0.2545
0.0000 0.0000 0.3829
0.5000 0.5000 0.8829
```

Properties
- Total magnetization: 14.1 Bohr magnetons per cell
- ΔE_f: -0.34 eV/atom
- Symmetry: No. 107
- Energy: -48.52 eV per cell
- E above lowest polymorph: 118.7 meV per atom



Entry from Alexandria: an optimized crystal structure of Ac2EuIr (PBE-GGA).

Geometry as POSCAR:
```
Ac2EuIr
1.0
3.7980 0.0000 0.0000
0.0000 3.7980 0.0000
0.0000 0.0000 10.0090
Ac Eu Ir
2 1 1
direct
0.0000 0.0000 0.1726
0.0000 0.0000 0.8274
0.5000 0.5000 0.5000
0.5000 0.5000 0.0000
```

Properties
- Total magnetization: 7.9 Bohr magnetons per cell
- ΔE_f: -0.25 eV/atom
- Symmetry: No. 123
- Energy: -28.35 eV per cell
- E above lowest polymorph: 155.7 meV per atom



Entry from Alexandria: an optimized crystal structure of AcEuIr (PBE-GGA).

Geometry as POSCAR:
```
AcEuIr
1.0
4.3233 0.0000 0.0000
-2.1617 3.7441 0.0000
0.0000 0.0000 6.6341
Ac Eu Ir
1 1 1
direct
0.0000 0.0000 0.0000
~~~
And, have you seen among your friends or women that you know, that they have sometimes side effects or, not?
Yes, I have. For some, it takes a while to get pregnant, when they want to get pregnant, they weren’t getting pregnant. It was taking a while. There is another thing, there is. -expect side effects later on if you do take that route.
The main reason for you was because you wanted to be open to life!
It was a joy to have you here, when you were learning. We went for a couple of cycles before you got married. And the last time that I saw you, we did not see signs of ovulation and I remember telling you if anything would happen, to contact me again.
Yes, we suddenly realized that there is no point waiting, it is when I remember you and I wanted to start the charting again. We had been trying for a while, actually after the wedding. At some point, we were just thinking, if it is not mean to be, it is not meant to be parents. Maybe there is another purpose for us, maybe, we were even discussing, we should adopt, things like that. We were unsure if we were going to get pregnant or not. Also with the pressure with people that keep asking me like, -are you not pregnant yet? What is taking you so long?
The people that loves both of you is asking you right?
Yes, all the time, and all the time I see my tias, everybody, even my brothers.
How would you feel?
Sometimes I would get upset but I always tell them: In His time not our time.
Yes, whenever there is a couple that we teach whenever they are getting ready for marriage or, any couple that comes to learn for avoiding pregnancy or postponing pregnancy. We always let you all know that whenever you are ready to have a baby, if pregnancy does not happen just contact us again. And, this is what you did.
Tell us about when you contact me again. Of course you have stoped charting because you just wanted to have a baby right? But then it would not happen. How do you used to feel? When pregnancy was not happening. Tell us a little bit about it.
I was getting worried because I went to the doctor and he said there was nothing wrong. I don’t need to take any meeds. To me there was like, there must be something wrong, you know, I am not getting pregnant so there must be a reason, you know? But I glues they don’t know. I am not sure but they said, -I am normal.
Yes, so before going to the specialist I though of you, it was like, why don’t I try that charting again? Maybe that will help me and -we are now! It did helped me! Because we found out that there were time that I was not ovulating .
Yes, definitely, the charting is so important. Most of the ladies we have help conceive, sometimes there is not a very clear indication of fertility. But the recommendations of this method is to pinpoint the most fertile day in the cycle and, sometimes pregnancies happen like that . So, it is individual you know, each couple is unique. How do you used to feel when you started charting?
I was like, I am going to Give it a try and see if we find out what is wrong with me. What is going on, why I am having a hard time getting pregnant.
You were charting every day diligently and we’ll meet weekly. How were you and your husband on this, trying to conceive now with the help of The Billings Ovulation Method?
To be honest, I was not like expecting, -oh I am going to get pregnant!, that is why I was so shocked when you told me, do a pregnancy test! Like in my head it was like, -no way I’m going to get pregnant! And then I got that solid line and a faint line.
Yes, I was like it is worth the try I just want to see if there is anything wrong with me. But yeah like I said, God’s perfect timing!
Yes, Florence, thank you so. Much for your honesty for letting us know that you were not really sure if this was going to work.
It is because I never really heard about this charting before. It was the first time with you, and the first time I approach you. And, I would ask my friends and they were: yeah we heard about it, nurses friends, and it was like, -no, it does not really work, that is what they would say. Then I found out that I have a cousin who does not even use contraceptives. I guess she has not heard formally about NFP (Natural Family Planning). But that is what she has been doing, she spaced all her kids very well. I was like, wow all this time and you did not tell me? But, yeah I’m kind of surprised, the majority, they don’t believe in it.